-- Material --
........
Entry from Materials Project: a geometry-optimized B5H7 structure (r2SCAN).

a b c (Å): 12.5772 5.6861 14.4715
angles (deg): 90.00 125.09 90.00
Space group P2/c (No. 13)
Unique sites:
B  0.0457  0.1751  0.3706 [4 per cell]
B  0.0550  0.1230  0.8948 [4 per cell]
B  0.0818  0.2403  0.2715 [4 per cell]
B  0.0999  0.0044  0.2042 [4 per cell]
B  0.1607  0.0048  0.3643 [4 per cell]
B  0.3391  0.4996  0.2024 [4 per cell]
B  0.4012  0.4988  0.1041 [4 per cell]
B  0.4184  0.2636  0.1894 [4 per cell]
B  0.4437  0.3731  0.8388 [4 per cell]
B  0.4529  0.3288  0.3240 [4 per cell]
H  0.0579  0.2139  0.6909 [4 per cell]
H  0.0734  0.3102  0.4437 [4 per cell]
H  0.0859  0.2293  0.9769 [4 per cell]
H  0.1213  0.2136  0.8567 [4 per cell]
H  0.1504  0.4038  0.2897 [4 per cell]
H  0.1809  0.0027  0.6866 [4 per cell]
H  0.2251  0.4922  0.6564 [4 per cell]
H  0.2745  0.0024  0.9329 [4 per cell]
H  0.3208  0.4940  0.5054 [4 per cell]
H  0.3503  0.0997  0.1390 [4 per cell]
H  0.3791  0.2823  0.7344 [4 per cell]
H  0.4115  0.2661  0.8888 [4 per cell]
H  0.4242  0.1936  0.3686 [4 per cell]
H  0.4427  0.2826  0.6325 [4 per cell]

The value obtained for the total energy is -5.172 eV/atom.

Entry from Materials Project: a geometry-optimized LaCo2 structure (r2SCAN).

a b c (Å): 7.1982 7.1982 7.1982
angles (deg): 90.00 90.00 90.00
Space group Fd-3m (No. 227, origin choice 2)
Unique sites:
La  0.1250  0.1250  0.1250 [8 per cell]
Co  0.0000  0.0000  0.5000 [16 per cell]

The value obtained for the total energy is -18.556 eV/atom.

Entry from Materials Project: a geometry-optimized BaZn structure (r2SCAN).

a b c (Å): 4.0785 4.0785 4.0785
angles (deg): 90.00 90.00 90.00
Space group Pm-3m (No. 221)
Unique sites:
Ba  0.0000  0.0000  0.0000 [1 per cell]
Zn  0.5000  0.5000  0.5000 [1 per cell]

The value obtained for the total energy is -17.809 eV/atom.

Entry from Materials Project: a geometry-optimized U2N3 structure (r2SCAN).

a b c (Å): 10.7148 10.7148 10.7148
angles (deg): 90.00 90.00 90.00
Space group Ia-3 (No. 206)
Unique sites:
U  0.0000  0.2500  0.4781 [24 per cell]
U  0.2500  0.2500  0.2500 [8 per cell]
N  0.1159  0.1473  0.6203 [48 per cell]

The value obtained for the total energy is -39.201 eV/atom.

Entry from Materials Project: a geometry-optimized VF5 structure (r2SCAN).

a b c (Å): 5.1573 8.4477 7.7643
angles (deg): 90.00 90.00 90.00
Space group Pnma (No. 62)
Unique sites:
V  0.2308  0.2500  0.0661 [4 per cell]
F  0.0289  0.2500  0.5319 [4 per cell]
F  0.0498  0.2500  0.8823 [4 per cell]
F  0.0732  0.7500  0.7919 [4 per cell]
F  0.2293  0.0461  0.1026 [8 per cell]

The value obtained for the total energy is -7.787 eV/atom.

Entry from Materials Project: a geometry-optimized CeSnRu structure (r2SCAN).

a b c (Å): 11.7945 4.8367 9.9887
angles (deg): 90.00 105.33 90.00
Space group C2/m (No. 12)
Unique sites:
Ce  0.1345  0.0000  0.4171 [4 per cell]
Ce  0.1349  0.0000  0.9169 [4 per cell]
Sn  0.0860  0.5000  0.1620 [4 per cell]
Sn  0.0868  0.5000  0.6617 [4 per cell]
Ru  0.1870  0.0000  0.1562 [4 per cell]
Ru  0.1876  0.0000  0.6570 [4 per cell]

The value obtained for the total energy is -27.697 eV/atom.

Entry from Materials Project: a geometry-optimized FeNi3 structure (r2SCAN).

a b c (Å): 5.5807 5.5807 5.5807
angles (deg): 90.00 90.00 90.00
Space group Fm-3m (No. 225)
Unique sites:
Fe  0.0000  0.0000  0.0000 [4 per cell]
Ni  0.0000  0.0000  0.5000 [4 per cell]
Ni  0.2500  0.2500  0.2500 [8 per cell]

The value obtained for the total energy is -12.576 eV/atom.

Entry from Materials Project: a geometry-optimized NaHg3 structure (r2SCAN).

a b c (Å): 7.3222 7.3222 7.3222
angles (deg): 90.00 90.00 90.00
Space group Fm-3m (No. 225)
Unique sites:
Na  0.0000  0.0000  0.0000 [4 per cell]
Hg  0.0000  0.0000  0.5000 [4 per cell]
Hg  0.2500  0.2500  0.2500 [8 per cell]

The value obtained for the total energy is -38.114 eV/atom.

Entry from Materials Project: a geometry-optimized CeHf2F11 structure (r2SCAN).

a b c (Å): 12.6362 10.9877 7.7090
........

-- Work order --
It remains to filter the lines above: keep the lines with the word "from".

-- Outcome --
Entry from Materials Project: a geometry-optimized B5H7 structure (r2SCAN).
Entry from Materials Project: a geometry-optimized LaCo2 structure (r2SCAN).
Entry from Materials Project: a geometry-optimized BaZn structure (r2SCAN).
Entry from Materials Project: a geometry-optimized U2N3 structure (r2SCAN).
Entry from Materials Project: a geometry-optimized VF5 structure (r2SCAN).
Entry from Materials Project: a geometry-optimized CeSnRu structure (r2SCAN).
Entry from Materials Project: a geometry-optimized FeNi3 structure (r2SCAN).
Entry from Materials Project: a geometry-optimized NaHg3 structure (r2SCAN).
Entry from Materials Project: a geometry-optimized CeHf2F11 structure (r2SCAN).